Job =
Next, reproduce the contents below from the line with "0.7927 0.7496" to the end exactly.
Input =
- - -
Computed, not measured: an optimized crystal structure of Sc6ZnHg3 at the PBE level of DFT.

Computed properties:
For the density of states at the Fermi level, the calculation gives 0.940 states/eV per atom. Its formation energy is -0.318 eV per atom.

Geometry as CIF:
```
data_Sc6ZnHg3
_cell_length_a 8.578
_cell_length_b 4.929
_cell_length_c 10.776
_cell_angle_alpha 90.00
_cell_angle_beta 107.96
_cell_angle_gamma 90.00
_symmetry_space_group_name_H-M 'P 1 21/m 1'
_symmetry_Int_Tables_number 11
_symmetry_space_group_name_Hall '-P 2yb'
loop_
_atom_site_label
_atom_site_type_symbol
_atom_site_fract_x
_atom_site_fract_y
_atom_site_fract_z
Sc1 Sc 0.035 0.250 0.411
Sc2 Sc 0.165 0.750 0.175
Sc3 Sc 0.270 0.250 0.008
Sc4 Sc 0.349 0.750 0.819
Sc5 Sc 0.367 0.250 0.332
Sc6 Sc 0.397 0.250 0.624
Zn1 Zn 0.456 0.750 0.107
Hg1 Hg 0.023 0.750 0.877
Hg2 Hg 0.123 0.250 0.722
Hg3 Hg 0.281 0.750 0.473
```

=====

Record 1
Here is BaTl2Sn2S4 after structural relaxation from Alexandria. Energies are from GGA-PBE.

a b c (Å): 9.5697 9.5697 8.2399
angles (deg): 112.21 112.21 24.93
Fractional coordinates of all 9 atoms:
Ba: 0.0000 0.0000 0.0000
Tl: 0.1147 0.1147 0.6064
Tl: 0.8853 0.8853 0.3936
Sn: 0.2967 0.2967 0.9007
Sn: 0.7033 0.7033 0.0993
S: 0.1744 0.1744 0.2610
S: 0.4237 0.4237 0.1744
S: 0.5763 0.5763 0.8256
S: 0.8256 0.8256 0.7390

Properties
Its formation energy without anion corrections is -0.743 eV/atom. As for the space group: C2/m.

***

Record 2
Here is BaTl2SnS4 after structural relaxation from Alexandria. Energies are from GGA-PBE.

a b c (Å): 8.7486 8.7486 8.7486
angles (deg): 123.84 118.21 88.31
Fractional coordinates of all 16 atoms:
Ba: 0.0000 0.0000 0.0000
Ba: 0.5000 0.0000 0.5000
Tl: 0.0000 0.5000 0.5000
Tl: 0.5000 0.0000 0.0000
Tl: 0.5000 0.5000 0.0000
Tl: 0.5000 0.5000 0.5000
Sn: 0.0000 0.0000 0.5000
Sn: 0.0000 0.5000 0.0000
S: 0.2021 0.2020 0.4999
S: 0.2021 0.7022 0.0001
S: 0.2073 0.2504 0.9569
S: 0.2065 0.7496 0.4569
S: 0.7935 0.2504 0.5431
S: 0.7927 0.7496 0.0431
S: 0.7979 0.2978 0.9999
S: 0.7979 0.7980 0.5001

Properties
The density of states at the Fermi level comes out at 2.23 states/eV/f.u. Its formation energy without anion corrections is -0.699 eV/atom. As for the space group: Imma.

=====

This record from Alexandria describes a geometry-optimized Tb3Cd2Au6 structure. The functional is GGA-PBE.

volume	22.65	Å³ per atom
formation enthalpy at 0 K	-0.499	eV per atom
final energy	-40.88	eV/f.u.
space group	I4/mmm

Cell lengths 14.3340, 14.3340, 14.3340 Å; angles 163.09, 163.09, 24.01 degrees
Last column: nearest neighbours and their distance in Å.
Fractional positions:
Tb 0.0000 0.0000 0.0000  8 Cd 3.29
Tb 0.2024 0.2024 0.0000  9 Au 2.99-3.19
Tb 0.7976 0.7976 0.0000  9 Au 2.99-3.19
Cd 0.4500 0.4500 0.0000  1 Cd 2.80, 4 Au 2.82
Cd 0.5500 0.5500 0.0000  1 Cd 2.80, 4 Au 2.82
Au 0.1168 0.6168 0.5000  2 Cd 2.82, 6 Au 2.96-2.98
Au 0.3091 0.3091 0.0000  4 Au 2.96, 5 Tb 2.99-3.00
Au 0.3832 0.8832 0.5000  2 Cd 2.82, 6 Au 2.96-2.98
Au 0.6168 0.1168 0.5000  2 Cd 2.82, 6 Au 2.96-2.98
Au 0.6909 0.6909 0.0000  4 Au 2.96, 5 Tb 2.99-3.00
Au 0.8832 0.3832 0.5000  2 Cd 2.82, 6 Au 2.96-2.98

=====

Crystalline Nd8Cd2Ga at its relaxed geometry, computed with PBE.

Lattice parameters (Å, degrees): 5.357 7.252 9.679 107.26 106.07 90.00
Element x y z (fractional)
Nd 0.661 0.964 0.323
Nd 0.801 0.702 0.603
Nd 0.199 0.298 0.397
Nd 0.339 0.036 0.677
Nd 0.591 0.452 0.181
Nd 0.984 0.229 0.967
Nd 0.016 0.771 0.033
Nd 0.409 0.548 0.819
Cd 0.820 0.288 0.640
Cd 0.180 0.712 0.360
Ga 0.500 0.000 0.000

Properties
SG   C2/m, No. 12
DFT formation energy   -1.84 eV per formula unit
Spin magnetization   0.00 μB per formula unit



Crystalline SrZn3Hg at its relaxed geometry, computed with PBE.

Lattice parameters (Å, degrees): 5.113 5.113 5.113 90.00 90.00 90.00
Element x y z (fractional)
Zn 0.000 0.500 0.000
Zn 0.500 0.000 0.000
Zn 0.000 0.000 0.500
Hg 0.000 0.000 0.000
Sr 0.500 0.500 0.500

Properties
SG   Pm-3m, No. 221
- - -
Response =
S: 0.7927 0.7496 0.0431
S: 0.7979 0.2978 0.9999
S: 0.7979 0.7980 0.5001

Properties
The density of states at the Fermi level comes out at 2.23 states/eV/f.u. Its formation energy without anion corrections is -0.699 eV/atom. As for the space group: Imma.

=====

This record from Alexandria describes a geometry-optimized Tb3Cd2Au6 structure. The functional is GGA-PBE.

volume	22.65	Å³ per atom
formation enthalpy at 0 K	-0.499	eV per atom
final energy	-40.88	eV/f.u.
space group	I4/mmm

Cell lengths 14.3340, 14.3340, 14.3340 Å; angles 163.09, 163.09, 24.01 degrees
Last column: nearest neighbours and their distance in Å.
Fractional positions:
Tb 0.0000 0.0000 0.0000  8 Cd 3.29
Tb 0.2024 0.2024 0.0000  9 Au 2.99-3.19
Tb 0.7976 0.7976 0.0000  9 Au 2.99-3.19
Cd 0.4500 0.4500 0.0000  1 Cd 2.80, 4 Au 2.82
Cd 0.5500 0.5500 0.0000  1 Cd 2.80, 4 Au 2.82
Au 0.1168 0.6168 0.5000  2 Cd 2.82, 6 Au 2.96-2.98
Au 0.3091 0.3091 0.0000  4 Au 2.96, 5 Tb 2.99-3.00
Au 0.3832 0.8832 0.5000  2 Cd 2.82, 6 Au 2.96-2.98
Au 0.6168 0.1168 0.5000  2 Cd 2.82, 6 Au 2.96-2.98
Au 0.6909 0.6909 0.0000  4 Au 2.96, 5 Tb 2.99-3.00
Au 0.8832 0.3832 0.5000  2 Cd 2.82, 6 Au 2.96-2.98

=====

Crystalline Nd8Cd2Ga at its relaxed geometry, computed with PBE.

Lattice parameters (Å, degrees): 5.357 7.252 9.679 107.26 106.07 90.00
Element x y z (fractional)
Nd 0.661 0.964 0.323
Nd 0.801 0.702 0.603
Nd 0.199 0.298 0.397
Nd 0.339 0.036 0.677
Nd 0.591 0.452 0.181
Nd 0.984 0.229 0.967
Nd 0.016 0.771 0.033
Nd 0.409 0.548 0.819
Cd 0.820 0.288 0.640
Cd 0.180 0.712 0.360
Ga 0.500 0.000 0.000

Properties
SG   C2/m, No. 12
DFT formation energy   -1.84 eV per formula unit
Spin magnetization   0.00 μB per formula unit



Crystalline SrZn3Hg at its relaxed geometry, computed with PBE.

Lattice parameters (Å, degrees): 5.113 5.113 5.113 90.00 90.00 90.00
Element x y z (fractional)
Zn 0.000 0.500 0.000
Zn 0.500 0.000 0.000
Zn 0.000 0.000 0.500
Hg 0.000 0.000 0.000
Sr 0.500 0.500 0.500

Properties
SG   Pm-3m, No. 221